Material >
┌──
Record 1
BaCo4Ru | PBE | relaxed

a b c (Å): 7.1965 7.1965 7.1965
angles (deg): 90.00 90.00 90.00
Closest atoms and distances in Å follow each position.
Space group F-43m (No. 216)
Symmetry-distinct sites (fractional):
Ba (0.0000, 0.0000, 0.0000)  12 Co 2.99, 4 Ru 3.12
Co (0.1227, 0.1227, 0.6227)  6 Co 2.50-2.59
Ru (0.2500, 0.2500, 0.2500)  12 Co 2.98, 4 Ba 3.12

Summary:
Fermi-level density of states	1.60	states/eV/atom
energy of formation from the pure elements	392	kJ/mol of formula units

Record 2
Ba4CoRu | PBE | relaxed

a b c (Å): 9.6736 9.6736 9.6736
angles (deg): 90.00 90.00 90.00
Closest atoms and distances in Å follow each position.
Space group F-43m (No. 216)
Symmetry-distinct sites (fractional):
Ba (0.1253, 0.1253, 0.1253)  6 Ba 3.41-3.43
Co (0.2500, 0.2500, 0.7500)  12 Ba 4.01, 4 Ru 4.19
Ru (0.0000, 0.0000, 0.5000)  12 Ba 4.01, 4 Co 4.19

Summary:
Fermi-level density of states	2.44	states/eV/atom
energy of formation from the pure elements	827	kJ/mol of formula units

Record 3
Ba2CoRu | PBE | relaxed

a b c (Å): 4.1314 4.5981 14.7343
angles (deg): 90.00 90.00 90.00
Closest atoms and distances in Å follow each position.
Space group Imm2 (No. 44)
Symmetry-distinct sites (fractional):
Ba (0.0000, 0.0000, 0.0000)  2 Co 3.22, 4 Ru 3.38
Ba (0.0000, 0.5000, 0.2560)  2 Ru 3.19, 4 Co 3.37
Co (0.0000, 0.5000, 0.8466)  2 Ru 2.25
Ru (0.0000, 0.0000, 0.4065)  2 Co 2.25

Summary:
Fermi-level density of states	1.28	states/eV/atom
energy of formation from the pure elements	142	kJ/mol of formula units
energy above the lowest structure with this stoichiometry	168	meV/atom
└──

Wanted >
Next, return the whole of the contents earlier on verbatim.

Solution >
Record 1
BaCo4Ru | PBE | relaxed

a b c (Å): 7.1965 7.1965 7.1965
angles (deg): 90.00 90.00 90.00
Closest atoms and distances in Å follow each position.
Space group F-43m (No. 216)
Symmetry-distinct sites (fractional):
Ba (0.0000, 0.0000, 0.0000)  12 Co 2.99, 4 Ru 3.12
Co (0.1227, 0.1227, 0.6227)  6 Co 2.50-2.59
Ru (0.2500, 0.2500, 0.2500)  12 Co 2.98, 4 Ba 3.12

Summary:
Fermi-level density of states	1.60	states/eV/atom
energy of formation from the pure elements	392	kJ/mol of formula units

Record 2
Ba4CoRu | PBE | relaxed

a b c (Å): 9.6736 9.6736 9.6736
angles (deg): 90.00 90.00 90.00
Closest atoms and distances in Å follow each position.
Space group F-43m (No. 216)
Symmetry-distinct sites (fractional):
Ba (0.1253, 0.1253, 0.1253)  6 Ba 3.41-3.43
Co (0.2500, 0.2500, 0.7500)  12 Ba 4.01, 4 Ru 4.19
Ru (0.0000, 0.0000, 0.5000)  12 Ba 4.01, 4 Co 4.19

Summary:
Fermi-level density of states	2.44	states/eV/atom
energy of formation from the pure elements	827	kJ/mol of formula units

Record 3
Ba2CoRu | PBE | relaxed

a b c (Å): 4.1314 4.5981 14.7343
angles (deg): 90.00 90.00 90.00
Closest atoms and distances in Å follow each position.
Space group Imm2 (No. 44)
Symmetry-distinct sites (fractional):
Ba (0.0000, 0.0000, 0.0000)  2 Co 3.22, 4 Ru 3.38
Ba (0.0000, 0.5000, 0.2560)  2 Ru 3.19, 4 Co 3.37
Co (0.0000, 0.5000, 0.8466)  2 Ru 2.25
Ru (0.0000, 0.0000, 0.4065)  2 Co 2.25

Summary:
Fermi-level density of states	1.28	states/eV/atom
energy of formation from the pure elements	142	kJ/mol of formula units
energy above the lowest structure with this stoichiometry	168	meV/atom